Activity:
Copy the block underneath without additions.

File:
<<<
Record 1
{
  "formula": "C5H3F3NO4",
  "method": "the ωB97M-V functional and the def2-TZVPD basis",
  "symbols": ["C", "C", "C", "C", "C", "N", "O", "O", "O", "O", "F", "F", "F", "H", "H", "H"],
  "coordinates": [[0.57340, -0.45360, 1.36428], [-0.72022, -0.54701, 1.85235], [1.77183, 1.54234, -0.42548], [0.51653, 0.52186, 0.29622], [-0.59845, -1.16172, -1.58077], [-0.59604, 1.24136, 0.47868], [2.62941, 0.97697, -1.02122], [1.52317, 2.69827, -0.24261], [-1.45026, 0.51589, 1.42261], [0.35992, -0.46035, -1.34726], [-0.62369, -2.50334, -0.85878], [-1.95888, -0.60586, -1.31544], [-0.84014, -1.66990, -2.86268], [1.42251, -1.01168, 1.62667], [-0.95056, -0.94192, 2.79682], [-1.05854, 1.85869, -0.18338]],
  "de_lowest_kcal_mol": 19.9,
  "gap_ev": 8.74,
  "e_homo_ha": -0.1977,
  "charge": -1
}

---

Record 2
{
  "formula": "C4H8O2",
  "method": "the ωB97M-V functional and the def2-TZVPD basis",
  "symbols": ["C", "O", "C", "C", "C", "O", "H", "H", "H", "H", "H", "H", "H", "H"],
  "coordinates": [[0.96018, 1.50622, 0.15466], [0.31725, -0.68347, -0.71350], [-0.00355, -1.38612, 0.48960], [-1.36877, -0.69554, 0.59228], [-0.83824, 0.12180, -0.60396], [-0.42925, 1.41384, -0.30935], [1.48915, 2.01835, -0.64695], [1.59233, 0.62357, 0.38703], [0.87547, 2.07480, 1.07166], [0.68254, -1.17755, 1.32570], [0.00864, -2.44331, 0.24506], [-1.56612, -0.09752, 1.48538], [-2.21910, -1.35055, 0.38550], [-1.43438, 0.08047, -1.52804]],
  "de_lowest_kcal_mol": 62.4,
  "gap_ev": 10.70,
  "e_homo_ha": -0.3547,
  "charge": 0
}

---

Record 3
{
  "formula": "C33H46Cl4CuN5O",
  "method": "the ωB97M-V functional and the def2-TZVPD basis",
  "symbols": ["C", "N", "C", "C", "C", "C", "C", "C", "C", "C", "N", "C", "C", "C", "H", "H", "H", "H", "H", "H", "H", "H", "H", "H", "H", "H", "H", "H", "C", "N", "C", "C", "C", "C", "C", "C", "C", "C", "N", "C", "C", "C", "H", "H", "H", "H", "H", "H", "H", "H", "H", "H", "H", "H", "H", "H", "Cu", "C", "O", "H", "H", "H", "Cl", "C", "C", "Cl", "H", "H", "H", "H", "Cl", "C", "C", "Cl", "H", "H", "H", "H", "C", "C", "C", "C", "N", "H", "H", "H", "H", "H", "H", "H"],
>>>

Outcome:
Record 1
{
  "formula": "C5H3F3NO4",
  "method": "the ωB97M-V functional and the def2-TZVPD basis",
  "symbols": ["C", "C", "C", "C", "C", "N", "O", "O", "O", "O", "F", "F", "F", "H", "H", "H"],
  "coordinates": [[0.57340, -0.45360, 1.36428], [-0.72022, -0.54701, 1.85235], [1.77183, 1.54234, -0.42548], [0.51653, 0.52186, 0.29622], [-0.59845, -1.16172, -1.58077], [-0.59604, 1.24136, 0.47868], [2.62941, 0.97697, -1.02122], [1.52317, 2.69827, -0.24261], [-1.45026, 0.51589, 1.42261], [0.35992, -0.46035, -1.34726], [-0.62369, -2.50334, -0.85878], [-1.95888, -0.60586, -1.31544], [-0.84014, -1.66990, -2.86268], [1.42251, -1.01168, 1.62667], [-0.95056, -0.94192, 2.79682], [-1.05854, 1.85869, -0.18338]],
  "de_lowest_kcal_mol": 19.9,
  "gap_ev": 8.74,
  "e_homo_ha": -0.1977,
  "charge": -1
}

---

Record 2
{
  "formula": "C4H8O2",
  "method": "the ωB97M-V functional and the def2-TZVPD basis",
  "symbols": ["C", "O", "C", "C", "C", "O", "H", "H", "H", "H", "H", "H", "H", "H"],
  "coordinates": [[0.96018, 1.50622, 0.15466], [0.31725, -0.68347, -0.71350], [-0.00355, -1.38612, 0.48960], [-1.36877, -0.69554, 0.59228], [-0.83824, 0.12180, -0.60396], [-0.42925, 1.41384, -0.30935], [1.48915, 2.01835, -0.64695], [1.59233, 0.62357, 0.38703], [0.87547, 2.07480, 1.07166], [0.68254, -1.17755, 1.32570], [0.00864, -2.44331, 0.24506], [-1.56612, -0.09752, 1.48538], [-2.21910, -1.35055, 0.38550], [-1.43438, 0.08047, -1.52804]],
  "de_lowest_kcal_mol": 62.4,
  "gap_ev": 10.70,
  "e_homo_ha": -0.3547,
  "charge": 0
}

---

Record 3
{
  "formula": "C33H46Cl4CuN5O",
  "method": "the ωB97M-V functional and the def2-TZVPD basis",
  "symbols": ["C", "N", "C", "C", "C", "C", "C", "C", "C", "C", "N", "C", "C", "C", "H", "H", "H", "H", "H", "H", "H", "H", "H", "H", "H", "H", "H", "H", "C", "N", "C", "C", "C", "C", "C", "C", "C", "C", "N", "C", "C", "C", "H", "H", "H", "H", "H", "H", "H", "H", "H", "H", "H", "H", "H", "H", "Cu", "C", "O", "H", "H", "H", "Cl", "C", "C", "Cl", "H", "H", "H", "H", "Cl", "C", "C", "Cl", "H", "H", "H", "H", "C", "C", "C", "C", "N", "H", "H", "H", "H", "H", "H", "H"],